
Give your child a reason to talk

You know your child the best, so it is easy to know exactly what they will want or need. Often, you will give it to them before they ask or leave it where they can get it themselves. To help your child to talk, it is important that you give them a reason to talk by making things a little bit more difficult.  It can help if you change things around in your daily routines so that your child has to ask for your help.

### Misplaced records of molecules
=====
The following is a DFT calculation (wB97M-V/def2-TZVPD) of C19H34N5O14P2SSr as an isolated structure.

XYZ file:
```
76
Properties=species:S:1:pos:R:3:forces:R:3
Sr 0.950 -0.166 1.117 0.324 0.173 -0.230
C 5.135 3.490 0.177 -0.046 -0.015 -0.009
C 4.066 2.572 0.745 0.003 -0.007 0.035
O 4.377 2.349 2.125 -0.001 -0.064 -0.049
P 4.081 0.926 -0.068 0.192 -0.036 0.018
O 5.649 0.590 -0.191 -0.091 0.070 -0.021
O 3.660 1.104 -1.575 -0.063 0.043 -0.053
O 3.384 -0.169 0.658 0.275 0.185 0.094
P 2.339 3.254 0.496 0.060 -0.032 -0.087
O 1.940 3.739 2.001 -0.013 -0.082 -0.077
O 2.336 4.422 -0.418 0.017 0.018 0.019
O 1.553 2.011 0.200 -0.007 0.385 0.108
H 6.120 3.033 0.267 0.007 0.010 0.013
H 5.121 4.425 0.737 -0.014 0.016 -0.023
H 4.919 3.715 -0.866 0.033 -0.003 -0.007
H 3.564 2.101 2.584 0.010 0.052 0.014
H 5.784 -0.322 0.089 0.038 -0.086 0.032
H 2.680 0.977 -1.696 0.024 -0.035 0.028
H 2.091 4.687 2.052 0.033 0.098 0.025
C 0.341 -0.201 5.597 0.022 -0.011 0.014
O -0.510 0.811 5.052 0.069 0.027 -0.003
C -0.141 1.248 3.839 -0.109 -0.056 0.069
O 0.950 1.024 3.346 0.011 0.002 0.231
N -1.142 1.980 3.285 0.073 0.082 -0.028
N -1.035 2.243 1.908 -0.259 -0.345 -0.058
H -0.089 -0.458 6.560 -0.011 0.006 -0.004
H 1.356 0.174 5.723 0.001 0.005 -0.004
H 0.346 -1.069 4.939 -0.003 0.002 -0.003
H -2.060 1.736 3.633 -0.001 -0.023 -0.019
H -1.303 3.201 1.726 0.226 0.083 0.071
H -1.699 1.625 1.438 -0.083 0.068 0.013
C -5.338 -6.133 1.635 0.021 0.029 0.013
C -4.498 -4.883 1.625 -0.002 -0.006 -0.009
C -3.197 -4.893 2.113 -0.024 -0.015 -0.011
C -2.424 -3.741 2.117 0.038 0.037 -0.013
C -2.962 -2.564 1.629 0.041 0.077 -0.003
C -4.256 -2.532 1.125 -0.014 -0.012 0.025
C -5.018 -3.688 1.130 0.026 0.005 0.008
S -1.979 -1.087 1.527 -0.282 -0.090 -0.034
O -2.890 0.036 1.746 -0.033 -0.015 -0.010
O -0.968 -1.187 2.599 -0.135 0.007 0.135
N -1.336 -0.985 0.125 -0.110 -0.091 -0.092
C -0.909 -2.221 -0.564 -0.054 0.127 -0.073
C 0.148 -3.114 0.139 -0.181 -0.110 0.143
O -0.049 -4.333 0.097 0.170 -0.012 -0.049
O 1.117 -2.506 0.698 -0.147 -0.213 -0.213
H -4.716 -7.023 1.727 -0.003 -0.003 0.001
H -5.924 -6.218 0.719 -0.004 -0.007 0.003
H -6.038 -6.124 2.474 -0.005 -0.013 -0.003
H -2.768 -5.821 2.474 0.001 0.001 0.002
H -1.401 -3.758 2.469 -0.003 -0.012 0.001
H -4.651 -1.600 0.744 -0.005 -0.004 -0.002
H -6.029 -3.668 0.738 0.001 0.002 -0.001
H -0.462 -1.890 -1.507 -0.004 -0.010 0.009
H -1.770 -2.844 -0.819 0.015 -0.038 0.068
C 1.933 -0.615 -4.375 -0.020 -0.003 0.018
N 1.002 0.489 -4.268 0.052 0.042 0.024
C 0.425 0.977 -5.502 -0.041 0.028 -0.005
C -0.076 2.394 -5.316 0.013 -0.018 0.031
C -1.023 2.425 -4.134 0.028 0.001 -0.018
N -0.398 1.837 -2.966 -0.083 0.015 0.010
C -0.954 2.223 -1.679 0.023 0.049 -0.009
C 0.577 0.895 -3.029 -0.102 -0.013 -0.021
O 1.075 0.416 -2.004 0.148 -0.236 0.055
H 2.819 -0.310 -4.939 0.004 0.000 -0.002
H 1.465 -1.461 -4.888 0.001 -0.003 0.000
H 2.234 -0.928 -3.381 -0.001 -0.007 -0.009
H -0.395 0.324 -5.834 0.009 -0.009 -0.003
H 1.198 0.941 -6.274 0.007 -0.004 0.007
=====
### Here the page continues

What should we do?

  • Move your child’s favourite toys or snacks out of their reach so they have to ask for them.
  • At snack time, only give your child a few bits or a little bit of drink – so your child has to ask for more.
  • Forget things! Give your child a cup but no juice, only one sock or shoe, their pyjama top but no bottoms – so they have to ask.
  • Stop playing! When you are both really enjoying playing a game, stop and look away so your child has to ask you to join in again.
  • Don’t anticipate your child’s needs – wait until they ask for a drink or snack. Make it fun – don’t wait until they get frustrated and cross as this might prevent them from wanting to try.
  • Praise any attempts at telling you what they want. At first your child might look at or take you to what they want. Then they might point and use a sound. Eventually we hope they will try to use words to ask for what they want.


  • Peek-a-boo games, from behind furniture, behind the curtains, under the bedclothes, with the towel at bath time and when getting dressed
  • Squeaky or noisy toys held near the face, stop the noise and wait for eye contact before the next noise is made
  • Coloured scarves held over the face and slowly pulled away
  • Sunglasses or eye masks to encourage your child to look at faces
  • Blowing bubbles, preferably with a large blower and quality bubble mixture
  • Blow up balloons and let them go, feel the air, make them squeak, draw faces on them
  • Wind-up toys put on the table and allowed to run to the edge and fall off, increase the distance travelled by the toy
  • Feely bags or boxes containing objects of tactile interest such as playdough, koosh ball, fruit etc.
  • Copy any faces and sounds back to your child then see if he/she will copy your faces and sounds
  • Copy your child’s actions, such as banging toys together then see if your actions are copied
  • Sing action or singing rhymes going round a group in turn always using names
  • Play with two different toys, giving the first one to your child then offering the second one and letting them have it when the first toy is returned
  • Throw balls or bean bags to your child
  • Send wind-up toys back and forth
  • Roll toy cars back and forth
  • Pop-up toys – take turns to press the button

Offer your child a large variety of different sounds to listen to:

  • Old yoghurt pots filled with dried peas, lentils etc.
  • Tins filled with different sound making items such as pasta shapes, Smarties, etc.
  • Wooden spoons and pan lids
  • Whistles, horns and squeakers
  • Rattles, keys, threaded milk bottle tops, buttons or beads
  • Musical instruments

Choose a sound maker which you think your child will hear when he/she is not looking, make the sound and see if there is a response.  If he/she turns to the sound then hand over the toy as a reward, play with it together and encourage him/her to imitate your action.

• Between two parts of the piece: records of molecules:
+++
Record 1
{
  "formula": "C15H19NO5",
  "method": "ωB97M-V/def2-TZVPD",
  "relative_energy_ev": 1.951,
  "homo_lumo_gap_ev": 9.13,
  "charge": 0,
  "total_energy_ev": -27590.9071,
  "smiles": "COc1cc(OC)cc(C(=O)OCC(=O)N2CCCC2)c1",
  "e_homo_ev": -8.46,
  "species": ["C", "H", "O", "C", "C", "C", "C", "C", "C", "H", "O", "C", "H", "H", "H", "H", "C", "O", "O", "C", "H", "H", "C", "O", "N", "C", "C", "H", "C", "C", "H", "H", "H", "H", "H", "H", "H", "H", "H", "H"],
  "xyz": [[-3.79090, -3.41853, -0.29272], [-4.61581, -4.09178, -0.52042], [-4.33589, -2.12011, -0.34313], [-3.51067, -1.06464, -0.11316], [-2.16233, -1.16610, 0.19105], [-1.42683, 0.00100, 0.39682], [-2.02128, 1.24776, 0.30104], [-3.38155, 1.34751, 0.00336], [-4.11861, 0.19139, -0.20170], [-5.16953, 0.21249, -0.43863], [-3.88552, 2.60624, -0.06338], [-5.24923, 2.77052, -0.37250], [-5.42218, 3.84548, -0.37582], [-5.48904, 2.36193, -1.35909], [-5.89086, 2.30272, 0.38082], [-1.43928, 2.14105, 0.45622], [0.01868, -0.06685, 0.70517], [0.76855, 0.88215, 0.69520], [0.42031, -1.30476, 1.02485], [1.81544, -1.45638, 1.25311], [2.13758, -0.76487, 2.03389], [1.94192, -2.49151, 1.57626], [2.56992, -1.24910, -0.07157], [2.26747, -1.90502, -1.05148], [3.56115, -0.34821, -0.08454], [3.92165, 0.59903, 0.95819], [5.05092, 1.42414, 0.34005], [6.01285, 0.94217, 0.52079], [4.72209, 1.38803, -1.14998], [4.24202, -0.04521, -1.33534], [5.08423, -0.73382, -1.46969], [3.55045, -0.17957, -2.16827], [3.91221, 2.08360, -1.36991], [5.57637, 1.62554, -1.77979], [5.08485, 2.43371, 0.74341], [3.05887, 1.23254, 1.18960], [4.24865, 0.08144, 1.86435], [-1.65980, -2.11490, 0.26061], [-2.99884, -3.54969, -1.03586], [-3.39805, -3.64939, 0.70221]],
  "forces_ev_per_angstrom": [[0.08, -0.21, 0.01], [0.09, 0.01, 0.02], [-0.08, 0.32, -0.01], [0.17, 0.18, 0.06], [-0.11, -0.23, -0.03], [-0.55, 0.22, -0.15], [0.15, -0.08, 0.04], [0.11, -0.31, 0.02], [-0.11, 0.07, -0.03], [-0.12, 0.05, -0.03], [0.30, -0.06, 0.06], [-0.21, 0.03, -0.05], [-0.04, -0.09, -0.01], [0.01, 0.00, 0.04], [0.02, 0.00, -0.03], [0.07, 0.10, 0.01], [0.27, 0.28, 0.12], [-0.11, -0.14, -0.02], [-0.26, -0.17, 0.00], [0.28, 0.16, -0.13], [-0.04, -0.12, -0.06], [0.03, 0.16, -0.06], [-0.10, -0.09, 0.37], [-0.22, -0.21, -0.15], [0.28, 0.09, -0.16], [-0.10, 0.27, 0.53], [-0.07, -0.02, -0.03], [0.04, 0.02, 0.02], [0.05, -0.15, 0.10], [0.04, -0.10, -0.43], [-0.05, 0.05, -0.10], [0.11, -0.02, 0.06], [-0.02, 0.03, -0.05], [-0.01, 0.04, -0.05], [0.04, 0.00, 0.07], [0.12, -0.09, 0.07], [-0.04, 0.10, -0.02], [-0.01, -0.11, -0.01], [-0.02, 0.01, 0.03], [0.00, 0.01, -0.04]]
}

Record 2
{
  "formula": "C15H20BN5ORu",
  "method": "ωB97M-V/def2-TZVPD",
  "homo_lumo_gap_ev": [7.23, 6.02],
  "charge": 3,
  "total_energy_ev": -28603.2611,
  "e_homo_ev": [-19.44, -19.41],
  "spin_multiplicity": 2,
+++

Encourage awareness of sounds around the house by talking to your child about them, e.g. the phone ringing, dogs barking, door bells, doors banging, water running etc.

Do the same with sounds outside the house e.g. cars, lorries, planes, tractors, road drills etc.

Children will naturally babble and play with sounds as part of their speech and language development. Often, they start with simple ‘cooing’, squealing or shouting. They may use vowel sounds like “ah ah” or “ee ee” and then start to add in other sounds like ‘mama’, ‘dada’, ‘baba’. Children often babble when it is quiet around them and they will experiment with the variety of sounds, the volume and even the pitch of the sounds. By joining in with this sound play and repeating their babbling back to them, you will encourage your child to develop their listening, speech and interaction skills.

What should we do?

When you hear your child making noises, sit in front of your child face to face and repeat back their sounds. At first your child may quieten, so give plenty of eye contact and smiling to encourage your child and then repeat the babble sounds a few times. Eventually your child will produce more sounds for you to repeat back. It can turn into quite a conversation!

These sounds need to be repeated over and over again to encourage your child to take part and join in. The more you exaggerate the noise and the sillier you are the better!

Once your child is joining in with this game, try introducing different babble sounds yourself rather than copying your child all of the time. By extending the babble sounds, your child will learn to make new sounds.

Symbolic noises are often developed before and during the time when your child starts to use actual words.  A symbolic noise is a noise a child uses to represent something such as ‘moo!’ for a cow or “nee-naw” for a police car.  Symbolic noises are often easier and more interesting for a child to learn.

What should we do?

Choose noises which will motivate and interest your child.  The easiest two topics to choose from are transport and animals.

You can use and reinforce these noises wherever you are.  For example,

  • With the toy farm or garage, model the noises when you are playing.
  • When out on the bus, in the car or walking, point out the different things you see making the symbolic noise.
  • Visit your local park, farm, building site or bus depot and model the noises to your child when you see the animals or vehicles.
  • Share simple picture books where you can use the noises when looking at the pictures.
  • Sing songs using the noises such as ‘Old Macdonald had a farm’

Remember – make these noises as fun and interesting as possible! You can also try words such as “pop” “bang” “splash” and “whee” when playing.